## What to do
The reader should repeat the calculation results underneath from the first line to the one with "-0.782 0.765" unchanged.
## Material
/*
[1]
Below is a structure of composition C48H50CdN3Sb2, with properties calculated with wB97M-V/def2-TZVPD.

energy relative to the best compared isomer or geometry (same formula, charge and spin) = 1.986 eV
net charge = +1
frontier orbital gap = 0.2039 hartree

XYZ file:
```
104
Properties=species:S:1:pos:R:3:forces:R:3
Cd -0.970 0.102 -1.819 -0.085 -0.026 -0.178
C -3.944 -1.572 -0.750 -0.131 0.002 0.066
C -3.485 -1.246 -1.984 0.184 -0.154 -0.059
C -3.183 0.204 -2.000 0.281 0.237 -0.194
C -3.578 0.695 -0.655 0.018 0.047 0.065
C -3.985 -0.371 0.079 -0.025 -0.077 0.126
C -4.445 -0.350 1.506 0.025 -0.036 -0.173
C -3.637 2.137 -0.245 -0.243 -0.342 0.070
C -3.618 1.000 -3.221 -0.099 -0.040 0.137
C -3.353 -2.146 -3.180 -0.121 0.121 0.114
C -4.429 -2.908 -0.280 0.054 0.085 0.018
H -5.494 -0.652 1.579 0.045 0.010 0.065
H -4.348 0.648 1.934 -0.024 -0.034 0.003
H -3.863 -1.043 2.120 -0.047 0.019 0.018
H -2.980 2.358 0.599 -0.188 -0.146 -0.066
H -4.651 2.401 0.067 -0.015 -0.017 -0.017
H -3.352 2.800 -1.060 -0.318 -0.415 0.338
H -4.712 1.051 -3.231 0.033 -0.002 -0.045
H -3.299 0.525 -4.149 0.008 0.017 -0.034
H -3.241 2.023 -3.202 -0.110 -0.171 -0.026
H -4.289 -2.191 -3.743 0.045 -0.007 -0.043
H -3.099 -3.166 -2.888 0.007 -0.016 -0.020
H -2.579 -1.795 -3.867 0.015 -0.016 -0.029
H -5.516 -2.894 -0.164 0.024 -0.039 0.003
H -4.014 -3.161 0.701 -0.020 -0.023 -0.053
H -4.178 -3.702 -0.984 -0.016 0.002 0.044
C -0.746 -5.657 -0.915 -0.011 0.081 0.038
C 0.133 -5.542 -1.990 -0.015 -0.074 -0.032
C 0.457 -4.299 -2.491 0.021 0.275 -0.099
C -0.107 -3.154 -1.915 -0.195 -0.597 0.228
C -0.996 -3.271 -0.850 0.157 0.201 -0.066
C -1.314 -4.522 -0.354 -0.039 -0.183 0.044
N 0.270 -1.846 -2.295 -0.418 0.070 0.563
N 1.161 -1.764 -3.132 0.603 -0.323 -0.454
C 1.734 -0.494 -3.335 0.328 0.671 -0.121
C 2.704 -0.422 -4.320 -0.037 -0.225 -0.015
C 3.448 0.738 -4.438 0.092 0.108 -0.016
C 3.201 1.779 -3.561 0.035 -0.067 0.004
C 2.177 1.638 -2.637 -0.116 0.121 0.097
N 1.439 0.535 -2.530 -0.516 -0.304 0.013
H -0.978 -6.632 -0.507 -0.020 0.013 -0.054
H 0.568 -6.429 -2.434 -0.015 0.054 0.034
H 1.147 -4.186 -3.316 0.001 -0.061 0.025
H -1.425 -2.381 -0.405 -0.041 0.027 0.018
H -2.005 -4.618 0.473 0.044 0.035 -0.004
H 2.871 -1.285 -4.951 0.041 0.010 0.062
H 4.231 0.820 -5.181 -0.039 -0.028 -0.008
H 3.792 2.684 -3.580 -0.057 0.002 0.003
H 1.960 2.442 -1.946 -0.097 0.032 0.050
C -0.530 1.080 1.332 0.549 -0.191 0.015
C 0.212 -0.047 2.080 -0.012 0.011 -0.036
C 1.286 -0.853 1.325 -0.108 0.400 -0.120
Sb 3.266 0.052 1.292 0.004 -0.305 0.085
C 4.187 -1.291 -0.118 -0.031 0.204 -0.013
C 3.742 -2.579 -0.413 -0.072 0.066 -0.042
C 4.501 -3.424 -1.214 -0.034 -0.032 -0.050
C 5.713 -2.990 -1.735 0.026 0.031 0.021
C 6.154 -1.698 -1.476 -0.053 0.000 0.024
C 5.390 -0.854 -0.677 -0.026 -0.109 -0.054
C 3.938 -1.039 3.025 -0.020 0.248 -0.001
C 3.898 -2.429 3.103 0.040 0.057 0.099
C 4.329 -3.082 4.251 -0.024 0.005 -0.022
C 4.805 -2.351 5.333 -0.006 -0.013 -0.018
C 4.855 -0.968 5.264 -0.013 0.042 -0.010
C 4.424 -0.315 4.114 -0.043 -0.067 -0.065
Sb 0.437 3.022 1.113 -0.380 0.041 -0.017
C -0.376 3.901 2.894 0.179 -0.079 -0.085
C -1.068 3.182 3.864 0.027 0.047 -0.023
C -1.609 3.832 4.968 0.005 -0.042 -0.013
C -1.455 5.204 5.113 -0.018 -0.014 -0.011
C -0.743 5.925 4.163 -0.002 0.036 -0.004
C -0.201 5.275 3.062 -0.006 -0.080 0.041
C -1.132 3.792 -0.183 0.403 0.154 -0.092
C -2.079 4.726 0.229 0.067 0.162 -0.099
C -2.990 5.262 -0.675 0.075 0.046 0.014
C -2.961 4.887 -2.013 0.081 0.125 -0.065
C -2.027 3.956 -2.440 0.258 0.278 -0.109
C -1.129 3.416 -1.526 0.145 0.321 0.057
H -1.480 1.273 1.828 -0.097 -0.020 -0.128
H -0.782 0.765 0.301 -0.041 0.026 0.327
H -0.554 -0.756 2.407 0.008 -0.006 0.088
H 0.655 0.360 2.997 -0.098 -0.029 0.048
H 0.977 -1.042 0.293 -0.030 -0.054 -0.074
H 1.416 -1.817 1.817 -0.010 -0.050 -0.059
H 2.798 -2.936 -0.013 0.014 -0.024 0.012
H 4.154 -4.431 -1.421 0.005 0.062 0.025
H 6.321 -3.662 -2.329 -0.057 0.048 -0.007
H 7.097 -1.353 -1.883 -0.044 -0.015 0.018
*/
## Completed
[1]
Below is a structure of composition C48H50CdN3Sb2, with properties calculated with wB97M-V/def2-TZVPD.

energy relative to the best compared isomer or geometry (same formula, charge and spin) = 1.986 eV
net charge = +1
frontier orbital gap = 0.2039 hartree

XYZ file:
```
104
Properties=species:S:1:pos:R:3:forces:R:3
Cd -0.970 0.102 -1.819 -0.085 -0.026 -0.178
C -3.944 -1.572 -0.750 -0.131 0.002 0.066
C -3.485 -1.246 -1.984 0.184 -0.154 -0.059
C -3.183 0.204 -2.000 0.281 0.237 -0.194
C -3.578 0.695 -0.655 0.018 0.047 0.065
C -3.985 -0.371 0.079 -0.025 -0.077 0.126
C -4.445 -0.350 1.506 0.025 -0.036 -0.173
C -3.637 2.137 -0.245 -0.243 -0.342 0.070
C -3.618 1.000 -3.221 -0.099 -0.040 0.137
C -3.353 -2.146 -3.180 -0.121 0.121 0.114
C -4.429 -2.908 -0.280 0.054 0.085 0.018
H -5.494 -0.652 1.579 0.045 0.010 0.065
H -4.348 0.648 1.934 -0.024 -0.034 0.003
H -3.863 -1.043 2.120 -0.047 0.019 0.018
H -2.980 2.358 0.599 -0.188 -0.146 -0.066
H -4.651 2.401 0.067 -0.015 -0.017 -0.017
H -3.352 2.800 -1.060 -0.318 -0.415 0.338
H -4.712 1.051 -3.231 0.033 -0.002 -0.045
H -3.299 0.525 -4.149 0.008 0.017 -0.034
H -3.241 2.023 -3.202 -0.110 -0.171 -0.026
H -4.289 -2.191 -3.743 0.045 -0.007 -0.043
H -3.099 -3.166 -2.888 0.007 -0.016 -0.020
H -2.579 -1.795 -3.867 0.015 -0.016 -0.029
H -5.516 -2.894 -0.164 0.024 -0.039 0.003
H -4.014 -3.161 0.701 -0.020 -0.023 -0.053
H -4.178 -3.702 -0.984 -0.016 0.002 0.044
C -0.746 -5.657 -0.915 -0.011 0.081 0.038
C 0.133 -5.542 -1.990 -0.015 -0.074 -0.032
C 0.457 -4.299 -2.491 0.021 0.275 -0.099
C -0.107 -3.154 -1.915 -0.195 -0.597 0.228
C -0.996 -3.271 -0.850 0.157 0.201 -0.066
C -1.314 -4.522 -0.354 -0.039 -0.183 0.044
N 0.270 -1.846 -2.295 -0.418 0.070 0.563
N 1.161 -1.764 -3.132 0.603 -0.323 -0.454
C 1.734 -0.494 -3.335 0.328 0.671 -0.121
C 2.704 -0.422 -4.320 -0.037 -0.225 -0.015
C 3.448 0.738 -4.438 0.092 0.108 -0.016
C 3.201 1.779 -3.561 0.035 -0.067 0.004
C 2.177 1.638 -2.637 -0.116 0.121 0.097
N 1.439 0.535 -2.530 -0.516 -0.304 0.013
H -0.978 -6.632 -0.507 -0.020 0.013 -0.054
H 0.568 -6.429 -2.434 -0.015 0.054 0.034
H 1.147 -4.186 -3.316 0.001 -0.061 0.025
H -1.425 -2.381 -0.405 -0.041 0.027 0.018
H -2.005 -4.618 0.473 0.044 0.035 -0.004
H 2.871 -1.285 -4.951 0.041 0.010 0.062
H 4.231 0.820 -5.181 -0.039 -0.028 -0.008
H 3.792 2.684 -3.580 -0.057 0.002 0.003
H 1.960 2.442 -1.946 -0.097 0.032 0.050
C -0.530 1.080 1.332 0.549 -0.191 0.015
C 0.212 -0.047 2.080 -0.012 0.011 -0.036
C 1.286 -0.853 1.325 -0.108 0.400 -0.120
Sb 3.266 0.052 1.292 0.004 -0.305 0.085
C 4.187 -1.291 -0.118 -0.031 0.204 -0.013
C 3.742 -2.579 -0.413 -0.072 0.066 -0.042
C 4.501 -3.424 -1.214 -0.034 -0.032 -0.050
C 5.713 -2.990 -1.735 0.026 0.031 0.021
C 6.154 -1.698 -1.476 -0.053 0.000 0.024
C 5.390 -0.854 -0.677 -0.026 -0.109 -0.054
C 3.938 -1.039 3.025 -0.020 0.248 -0.001
C 3.898 -2.429 3.103 0.040 0.057 0.099
C 4.329 -3.082 4.251 -0.024 0.005 -0.022
C 4.805 -2.351 5.333 -0.006 -0.013 -0.018
C 4.855 -0.968 5.264 -0.013 0.042 -0.010
C 4.424 -0.315 4.114 -0.043 -0.067 -0.065
Sb 0.437 3.022 1.113 -0.380 0.041 -0.017
C -0.376 3.901 2.894 0.179 -0.079 -0.085
C -1.068 3.182 3.864 0.027 0.047 -0.023
C -1.609 3.832 4.968 0.005 -0.042 -0.013
C -1.455 5.204 5.113 -0.018 -0.014 -0.011
C -0.743 5.925 4.163 -0.002 0.036 -0.004
C -0.201 5.275 3.062 -0.006 -0.080 0.041
C -1.132 3.792 -0.183 0.403 0.154 -0.092
C -2.079 4.726 0.229 0.067 0.162 -0.099
C -2.990 5.262 -0.675 0.075 0.046 0.014
C -2.961 4.887 -2.013 0.081 0.125 -0.065
C -2.027 3.956 -2.440 0.258 0.278 -0.109
C -1.129 3.416 -1.526 0.145 0.321 0.057
H -1.480 1.273 1.828 -0.097 -0.020 -0.128
H -0.782 0.765 0.301 -0.041 0.026 0.327